Monday, March 22, 2010

"...with a whimper"

So the Christians and tea-baggers go from the capitol. Health reform, or at least, health insurance reform, was passed by the House of Representatives late Sunday evening. And the debate was at such a level that all Amerikans should be proud----cries of "baby-killer", "nigger", etc. raining down on our elected representatives. Stand tall, Amerika. From water-boarding to torture to the total dissolution of any modicum of civility, your partisanship rises triumphant. I am as disgusted with the inexcusable performance of supposed "leaders" over the health care debate as I was over the Vietnam war. What a pathetic excuse for a civilized country. So shall we go to our just desserts, not with a bang but with a whimper.........or in a hale of racist or hateful epithets.


Anonymous said...

Anonymous said...

We may go down, but as far as I am concerned, it will be in a blaze of GLORY! I spent 18 hours fixed on CNN, CNBC, and also had the breaking coverage, steaming online. I finally fell asleep at 1:30am. I witnessed history in the making. I felt comfortable turning off the newest miniseries ....How A Bill Becomes A Law...when I saw MY president, the good man that he is, with his VP at his side, congratulate the efforts of the democrats that made this bill move forward. Wrong or right, this is what I call progress. I am humbled by Mr. Obama's matter the is NOT in vain. He did what very few have done before....he made people sit up, pay attention, read their history books and realize what kind of country we could be if only we wanted it........Do you?? The phrases and words like "baby killer" and "nigger" are a small price to pay for this effort. Those that spoke out of order (and out of their fucked over closed replublican minds) will be dealt with - in time. Time...a magic word. It is all about time..... I honestly believe, for those that that truly value "life" - Our time has come! And our time is NOW! I believe....

Hell, I put myself out there. Why not go all the way...

Inserted here: materials data:
=====
Starting from a cell relaxed with GGA-PBE, the powder X-ray diffraction pattern of La8Dy3 was computed for a wavelength of 1.5418 Å.

Cell and atoms:
Cell: 6.390 6.390 13.279 Å, 103.61 103.61 47.96°
Positions (direct):
La1 0.047 0.047 0.318
La2 0.137 0.137 0.954
La3 0.227 0.227 0.589
La4 0.320 0.320 0.227
La5 0.680 0.680 0.773
La6 0.773 0.773 0.411
La7 0.863 0.863 0.046
La8 0.953 0.953 0.682
Dy1 0.408 0.408 0.866
Dy2 0.500 0.500 0.500
Dy3 0.592 0.592 0.134

Main lines, sorted by position (2θ = 10–80°):
- 29.7 deg, I 100
- 34.3 deg, I 17
- 34.5 deg, I 34
- 49.3 deg, I 6
- 49.5 deg, I 18
- 49.6 deg, I 12
- 58.5 deg, I 7
- 58.6 deg, I 7
- 58.8 deg, I 7
- 58.9 deg, I 21
- 61.6 deg, I 6
- 61.7 deg, I 6

* * * * *

[1]
Starting from a DFT-relaxed cell (GGA-PBE, Alexandria), the X-ray powder pattern of InBi7Pb12 was simulated for Cu Kα.
Intensities are scaled so that the largest is 100.

Largest 8 diffraction maxima, sorted by position, 2θ = 10–80°:
Position (°2θ), d (Å), intensity, (hkl)
28.82, 3.098, 22, 1 2 0
28.90, 3.089, 13, 2 0 1
31.62, 2.830, 100, 1 2 -3
33.48, 2.677, 20, 0 3 0
33.61, 2.667, 17, 3 0 0
35.61, 2.521, 14, -1 1 3
41.44, 2.179, 10, -2 3 2
56.33, 1.633, 13, 1 -5 4

Structural model:
```
data_InBi7Pb12
_symmetry_space_group_name_H-M 'P -1'
_symmetry_Int_Tables_number 2
_symmetry_space_group_name_Hall '-P 1'
_cell_length_a 9.270
_cell_length_b 9.294
_cell_length_c 9.303
_cell_angle_alpha 107.26
_cell_angle_beta 107.57
_cell_angle_gamma 107.38
loop_
_atom_site_label
_atom_site_type_symbol
_atom_site_fract_x
_atom_site_fract_y
_atom_site_fract_z
_atom_site_occupancy
In1 In 0.000 0.000 0.000 1
Bi1 Bi 0.046 0.344 0.928 1
Bi2 Bi 0.073 0.955 0.657 1
Bi3 Bi 0.344 0.928 0.046 1
Bi4 Bi 0.500 0.500 0.500 1
Pb1 Pb 0.011 0.398 0.287 1
Pb2 Pb 0.234 0.386 0.668 1
Pb3 Pb 0.288 0.009 0.398 1
Pb4 Pb 0.332 0.765 0.614 1
Pb5 Pb 0.387 0.668 0.235 1
Pb6 Pb 0.399 0.288 0.010 1
```

[2]
Starting from a DFT-relaxed cell (GGA-PBE, Alexandria), the X-ray powder pattern of In16BiPb12 was simulated for Cu Kα.
Intensities are scaled so that the largest is 100.

Largest 8 diffraction maxima, sorted by position, 2θ = 10–80°:
Position (°2θ), d (Å), intensity, (hkl)
29.66, 3.012, 100, 4 0 -2
30.98, 2.887, 100, 1 5 1
31.25, 2.862, 75, 1 3 2
31.43, 2.846, 68, 4 2 -2
31.57, 2.834, 81, 1 5 -2
32.26, 2.775, 100, 4 0 -3
34.33, 2.612, 90, 2 0 2
36.52, 2.460, 67, 2 0 -4

Structural model:
```
data_In16BiPb12
_symmetry_space_group_name_H-M 'C 1 m 1'
_symmetry_Int_Tables_number 8
_symmetry_space_group_name_Hall 'C -2y'
_cell_length_a 12.091
_cell_length_b 17.319
_cell_length_c 9.973
_cell_angle_alpha 90.00
_cell_angle_beta 122.81
_cell_angle_gamma 90.00
loop_
_atom_site_label
_atom_site_type_symbol
_atom_site_fract_x
_atom_site_fract_y
_atom_site_fract_z
_atom_site_occupancy
In1 In 0.000 0.000 0.000 1
In2 In 0.004 0.347 0.060 1
In3 In 0.091 0.153 0.229 1
In4 In 0.167 0.500 0.308 1
In5 In 0.175 0.500 0.663 1
In6 In 0.184 0.205 0.974 1
In7 In 0.218 0.139 0.650 1
=====

BZ said...

My preferred Dixie Chicks video is this one:

• Data records that have nothing to do with the article:
********
Structure and simulated PXRD pattern of Ta3Se4S2 (DFT lattice parameters and positions (PBE); Cu Ka).
Neutral-atom scattering factors, no anomalous dispersion.

Atomic structure:
```
Ta3Se4S2
1.0
3.428 0.000 0.000
-1.714 2.969 0.000
0.000 0.000 25.120
Ta Se S
3 4 2
direct
0.000 0.000 0.000 Ta
0.333 0.667 0.273 Ta
0.333 0.667 0.727 Ta
0.000 0.000 0.205 Se
0.000 0.000 0.340 Se
0.000 0.000 0.660 Se
0.000 0.000 0.795 Se
0.333 0.667 0.061 S
0.333 0.667 0.939 S
```

Principal peaks in the range 15 to 90 degrees two-theta, in order of rising 2θ:
| hkl | 2θ/deg | I/Imax |
| --- | --- | --- |
| 1 0 0 | 30.1 | 63 |
| 1 0 2 | 31.0 | 43 |
| 1 0 5 | 35.1 | 85 |
| 1 0 6 | 37.1 | 99 |
| 1 0 9 | 44.6 | 100 |
| 1 1 0 | 53.5 | 49 |



Structure and simulated PXRD pattern of Ba2TlAg4Bi3 (DFT lattice parameters and positions (PBE); Cu Ka).
Neutral-atom scattering factors, no anomalous dispersion.

Atomic structure:
```
Ba2TlAg4Bi3
1.0
4.996 0.000 0.000
0.000 4.996 0.000
0.000 0.000 12.013
Ba Tl Ag Bi
2 1 4 3
direct
0.000 0.500 0.241 Ba
0.500 0.000 0.759 Ba
0.000 0.000 0.500 Tl
0.000 0.000 0.000 Ag
0.000 0.500 0.633 Ag
0.500 0.000 0.367 Ag
0.500 0.500 0.000 Ag
0.000 0.500 0.868 Bi
0.500 0.000 0.132 Bi
0.500 0.500 0.500 Bi
```

Principal peaks in the range 15 to 90 degrees two-theta, in order of rising 2θ:
| hkl | 2θ/deg | I/Imax |
| --- | --- | --- |
| 1 0 3 | 28.6 | 50 |
| 1 1 2 | 29.3 | 100 |
| 2 0 0 | 36.0 | 76 |
| 1 1 4 | 39.4 | 51 |
| 1 0 5 | 41.7 | 27 |
| 2 2 0 | 51.8 | 27 |


Diffraction record for AcPmSeO2. The PXRD pattern is theoretical, not measured: it uses the GGA-PBE geometry in Alexandria and Cu Kα (weighted mean of Kα1 and Kα2).
Neutral-atom scattering factors, no anomalous dispersion.

Largest 10 diffraction maxima, by intensity, 2θ from 15° to 90°:
2θ 30.3, intensity 100; 2θ 31.2, intensity 41; 2θ 55.0, intensity 38; 2θ 23.0, intensity 21; 2θ 44.8, intensity 21; 2θ 53.2, intensity 20; 2θ 42.1, intensity 12; 2θ 88.9, intensity 10; 2θ 63.0, intensity 10; 2θ 73.5, intensity 8

Structural model:
```
5
Lattice="-2.025 2.025 6.472 2.025 -2.025 6.472 2.025 2.025 -6.472" Properties=species:S:1:pos:R:3 pbc="T T T"
Ac 0.000 0.000 0.000
Pm 0.000 0.000 3.962
Se 0.000 0.000 8.458
O 2.025 0.000 5.102
O 0.000 2.025 5.102
```


No. 1
Starting from DFT lattice parameters and positions (PBE), the powder XRD pattern of AgSn4S8 was computed for Cu Kα, 1.54184 Å.
Kinematic intensities with the Lorentz-polarization factor, no thermal factor.

Crystal structure
a b c (Å): 7.4422 7.4422 8.5448
angles (deg): 121.29 121.29 61.16
Fractional coordinates of all 13 atoms:
1 Ag 0.0000 0.0000 0.0000
2 Sn 0.2578 0.2578 0.5193
3 Sn 0.2612 0.7388 0.5000
4 Sn 0.7388 0.2612 0.5000
5 Sn 0.7422 0.7422 0.4807
6 S 0.0010 0.0010 0.2900
7 S 0.0028 0.4826 0.2807
8 S 0.4826 0.0028 0.2807
9 S 0.4911 0.4911 0.2729
10 S 0.5089 0.5089 0.7271
11 S 0.5174 0.9972 0.7193
12 S 0.9972 0.5174 0.7193
13 S 0.9990 0.9990 0.7100

The 10 most intense peaks (2θ from 10° to 80°), sorted by position:
********
• The data records stop here:

Natalie's right--we don't have "time to go 'round and 'round" The next generation will be the FIRST since this country was founded to not live as long, make as much money, or be better educated than the preceding one. We are out of time for the foolishness in our politics. I hope Barack takes the lead from now on and does not leave it to the alleged leaders in congress. Health care reform took way too long. hopefully immigration reform, a carbon emission tax or control system, and the end of allowing people to have automatic weapons will be shorter fights.....